Why Do Student Teachers Enrol for a Teaching Degree? A Study of Teacher Recruitment in Portugal and Sweden
Source: Journal of Education for Teaching, Vol. 40, No. 4, 328–343, 2014.
(Reviewed by the Portal Team)
This article reports on findings from an exploratory study carried out in Portugal and Sweden, concerning student teacher recruitment to Initial Teacher Education (ITE) programmes.
It addresses issues such as the motivations and expectations of the student teachers regarding the teaching profession.
The student teachers were probed about the access to information about the ITE programmes, what choices they made and why.
Drawing upon existing related literature, a questionnaire was designed and sent to student teachers in Portugal and in Sweden.
In total, 112 student teachers from Portugal and 157 student teachers from Sweden participated in the study.
The discussion comprises two themes: the frame of reference for ITE in the two countries and possible implications for the recruitment process.
Female students seem to be attracted to the education field in both countries.
What differs is how they enter the field.
This exploratory study suggests that family is important in the discussions of the choice of profession in Portugal.
In Sweden, friends appear to be the key persons in these discussions.
These findings may be related to the fact that some of the Portuguese study participants had relatives working as teachers, or at least within the education field, which was not the typical situation of the average student in Sweden.
Furthermore, employment opportunities were important to students in both countries.
For the Swedish student teachers, however, the key factors for making the decision to undertake the ITE programme were the location of the university and the encouragement from a significant other.
Another difference relates to when student teachers choose to enter a teaching degree.
In Portugal, student teachers tend to do so directly after upper secondary, whereas in Sweden the student teachers work or start a family before they enter.
== Unrelated to this text: records of crystals ==
____________
Fe2GeHO: theoretical X-ray diffraction stick pattern (Cu Kα (weighted mean of Kα1 and Kα2)), based on a cell relaxed with GGA+U.
No peak broadening, texture or thermal motion is included.

Peak list (8 most intense, 2θ from 10° to 90°, in order of falling intensity)
d_spacing, 2theta, intensity, hkl
2.234, 40.37, 100.0, 1 1 1
2.401, 37.46, 32.0, 0 0 2
1.785, 51.18, 24.4, 2 0 0
1.432, 65.12, 22.1, 2 0 2
1.099, 89.10, 17.8, 3 1 1
1.352, 69.55, 17.7, 1 1 3
2.865, 31.22, 16.8, 1 0 1
3.570, 24.94, 13.0, 1 0 0

Crystal structure
Unit cell a=3.570 b=3.570 c=4.801 alpha=90.00 beta=90.00 gamma=90.00
Positions (direct):
Fe  0.000  0.500  0.000
Fe  0.500  0.000  0.000
Ge  0.000  0.000  0.500
H  0.500  0.500  0.000
O  0.500  0.500  0.500

=====

1.
The following is a calculated X-ray diffraction stick pattern of Li3IrRh. It was derived from a DFT-relaxed cell (PBE, Alexandria), using Cu Kα X-rays.
Intensities are scaled so that the largest is 100.

Main lines, low angle first (2θ from 10° to 90°):
2theta, I/Imax
20.65, 100.0
34.89, 29.2
38.48, 90.5
40.88, 39.3
42.01, 19.5
49.13, 46.3
64.97, 24.0
66.58, 17.7

Cell and atoms:
Cell lengths 2.759, 5.144, 8.604 Å; angles 90.00, 90.00, 90.00 degrees
Space group Amm2 (No. 38)
Symmetry-distinct sites (fractional):
Li: 0.000 0.000 0.000
Li: 0.500 0.196 0.527
Ir: 0.000 0.000 0.281
Rh: 0.500 0.000 0.778

***

2.
The following is a calculated X-ray diffraction stick pattern of PmH5Pt. It was derived from a DFT-relaxed cell (PBE, Alexandria), using Cu Kα X-rays.
Intensities are scaled so that the largest is 100.

Main lines, low angle first (2θ from 10° to 90°):
2theta, I/Imax
26.95, 100.0
27.80, 48.4
38.40, 20.7
38.57, 19.4
39.11, 75.9
48.07, 21.5
48.21, 21.1
63.25, 18.5

Cell and atoms:
Cell lengths 4.689, 6.417, 4.668 Å; angles 90.00, 90.00, 90.00 degrees
Space group Imm2 (No. 44)
Symmetry-distinct sites (fractional):
Pm: 0.000 0.000 0.000
H: 0.000 0.318 0.295
H: 0.000 0.500 0.674
H: 0.150 0.000 0.508
Pt: 0.000 0.500 0.028

***

Q: Which formula does entry 1 have?
A: Li3IrRh
____________
For Portugal, the explanation is related to issues associated with the level of qualification for entering teacher and to the need to have a number of credits in a given subject before entering the Masters in Teaching.
Also, intrinsic motivations may be also associated as the high levels of unemployment in teaching, the lack of career prospects and the low level of status are key characteristics of teaching over the last few years, with these factors being exacerbated by the austerity measures during the last three years.
For Sweden, the explanation could be that there is a path in the upper secondary programme for becoming a child caretaker, which is popular.
With an exam from this route it is possible to work in preschool as a child caretaker.
In Portugal as well as in Sweden, prerequisites for applicants are already instigated, such as a certain level of educational degree.
The participants felt, however, a need for probing the personality profile of the student teachers before entering a teaching degree, with special emphasis on their motivation.
The student teachers in the this study harboured intrinsic motivations, also altruistic ones, rather than extrinsic motivations, but it became evident that some student teachers experienced a need for further discussions about the motivations for pursuing a teacher career.
Another aspect is the fact that in both countries female students seem to be attracted to the education field.
Gender was not an important issue commented on by the participants in this study.
As for recruitment, the important issue is to focus on the values the student teachers share, such as interest in working with children, not the gender issue.
It appears that since family and friends are the key persons involved when students decide to become a teacher, their views of teaching and being a teacher are vital and need to be positive .
Furthermore, it is important to look into how information is presented at the universities; they are the main source of information concerning the teaching profession. The best recruiters appear to be the student teachers themselves, but study counsellors are also important. These study counsellors can work at university, but as much important are those working in upper secondary schools.
Lastly, student teachers point to the fact that the information during the recruitment process has to include correct ‘signals’ about the content of the ITE programme and how it is designed.
It is important that the applicants understand that joining an ITE course implies committing to a programme lasting more than just a year that is demanding and rewarding.
When the student teachers gave recommendations about what to be considered during recruitment into a teaching degree, they mainly gave suggestions concerning internal factors.
Enjoying working with children or youth, employment opportunities and the mastery of given subjects and skills appear to be some of the reasons for applying to the ITE programmes. However, the student teachers made clear that there is a need for more information about the ITE itself, that is, its structure, demands and the qualifications the applicants would eventually attain.
These requests may, amongst other strategies, be of significance for improving not only the curriculum of the ITE programme, but also improve its completion and so reduce the amount of early drop-outs. It may also be desirable to analyse the beliefs and implicit theories that student teachers may bring into their ITE studies.